____________
No. 1
# CaNi2Ge2 r2SCAN relaxed
# ΔE_f ... -0.558 eV/atom
# Space group ... I4/mmm, No. 139
data_CaNi2Ge2
_chemical_formula_sum 'Ca1 Ni2 Ge2'
_symmetry_space_group_name_H-M 'P 1'
_symmetry_Int_Tables_number 1
_cell_length_a 4.053
_cell_length_b 4.053
_cell_length_c 5.753
_cell_angle_alpha 110.62
_cell_angle_beta 110.62
_cell_angle_gamma 90.00
loop_
_symmetry_equiv_pos_as_xyz
'x,y,z'
loop_
_atom_site_label
_atom_site_fract_x
_atom_site_fract_y
_atom_site_fract_z
Ca1 0.000 0.000 0.000
Ni1 0.250 0.750 0.500
Ni2 0.750 0.250 0.500
Ge1 0.368 0.368 0.736
Ge2 0.632 0.632 0.264

No. 2
# La3Ge4Rh4 r2SCAN relaxed
# ΔE_f ... -1.006 eV/atom
# Space group ... Immm, No. 71
data_La3Ge4Rh4
_chemical_formula_sum 'La3 Ge4 Rh4'
_symmetry_space_group_name_H-M 'P 1'
_symmetry_Int_Tables_number 1
_cell_length_a 4.191
_cell_length_b 4.249
_cell_length_c 13.017
_cell_angle_alpha 99.39
_cell_angle_beta 99.26
_cell_angle_gamma 90.00
loop_
_symmetry_equiv_pos_as_xyz
'x,y,z'
loop_
_atom_site_label
_atom_site_fract_x
_atom_site_fract_y
_atom_site_fract_z
La1 0.856 0.356 0.712
La2 0.144 0.644 0.288
La3 0.000 0.000 0.000
Ge1 0.450 0.450 0.901
Ge2 0.550 0.550 0.099
Ge3 0.301 0.801 0.602
Ge4 0.699 0.199 0.398
Rh1 0.399 0.899 0.798
Rh2 0.250 0.250 0.500
Rh3 0.750 0.750 0.500
Rh4 0.601 0.101 0.202

No. 3
# Mn2Sb3I3O5 r2SCAN relaxed
# ΔE_f ... -1.347 eV/atom
# Space group ... P-1, No. 2
data_Mn2Sb3I3O5
_chemical_formula_sum 'Mn4 Sb6 I6 O10'
_symmetry_space_group_name_H-M 'P 1'
_symmetry_Int_Tables_number 1
_cell_length_a 6.423
_cell_length_b 9.898
_cell_length_c 10.357
_cell_angle_alpha 97.47
_cell_angle_beta 106.39
_cell_angle_gamma 91.96
loop_
_symmetry_equiv_pos_as_xyz
'x,y,z'
loop_
_atom_site_label
_atom_site_fract_x
_atom_site_fract_y
_atom_site_fract_z
Mn1 0.717 0.419 0.996
Mn2 0.257 0.295 0.738
Mn3 0.283 0.581 0.003
Mn4 0.743 0.705 0.262
Sb1 0.218 0.853 0.216
Sb2 0.782 0.147 0.784
Sb3 0.233 0.275 0.082
Sb4 0.767 0.725 0.918
Sb5 0.281 0.568 0.332
Sb6 0.719 0.432 0.668
I1 0.746 0.412 0.296
I2 0.255 0.588 0.704
I3 0.756 0.976 0.174
I4 0.243 0.024 0.826
I5 0.689 0.794 0.534
I6 0.313 0.206 0.466
O1 0.146 0.462 0.143
O2 0.855 0.538 0.857
O3 0.349 0.374 0.959
O4 0.651 0.625 0.041
O5 0.409 0.686 0.220
O6 0.591 0.314 0.781
O7 0.084 0.749 0.029
O8 0.915 0.251 0.971
O9 0.073 0.720 0.302
O10 0.927 0.280 0.698

No. 4
# LaCeHg2 r2SCAN relaxed
# ΔE_f ... -0.525 eV/atom
# Space group ... Fm-3m, No. 225
data_LaCeHg2
_chemical_formula_sum 'La1 Ce1 Hg2'
_symmetry_space_group_name_H-M 'P 1'
_symmetry_Int_Tables_number 1
_cell_length_a 5.469
_cell_length_b 5.469
_cell_length_c 5.469
_cell_angle_alpha 60.00
_cell_angle_beta 60.00
_cell_angle_gamma 60.00
loop_
_symmetry_equiv_pos_as_xyz
'x,y,z'
loop_
_atom_site_label
_atom_site_fract_x
_atom_site_fract_y
_atom_site_fract_z
La1 0.000 0.000 0.000
Ce1 0.500 0.500 0.500
Hg1 0.250 0.250 0.250
Hg2 0.750 0.750 0.750

No. 5
# Ba2Ce2O5 r2SCAN relaxed
# ΔE_f ... -3.222 eV/atom
# Space group ... Pbam, No. 55
data_Ba2Ce2O5
_chemical_formula_sum 'Ba4 Ce4 O10'
_symmetry_space_group_name_H-M 'P 1'
_symmetry_Int_Tables_number 1
_cell_length_a 4.475
_cell_length_b 6.214
_cell_length_c 12.668
_cell_angle_alpha 90.00
_cell_angle_beta 90.00
_cell_angle_gamma 90.00
loop_
_symmetry_equiv_pos_as_xyz
'x,y,z'
loop_
_atom_site_label
_atom_site_fract_x
_atom_site_fract_y
_atom_site_fract_z
Ba1 0.000 0.244 0.393
Ba2 0.000 0.256 0.893
Ba3 0.000 0.744 0.107
Ba4 0.000 0.756 0.607
Ce1 0.500 0.242 0.136
Ce2 0.500 0.258 0.636
Ce3 0.500 0.742 0.364
Ce4 0.500 0.758 0.864
O1 0.500 0.000 0.500
O2 0.500 0.099 0.792
O3 0.000 0.192 0.103
O4 0.000 0.308 0.603
O5 0.500 0.401 0.292
O6 0.500 0.500 0.000
O7 0.500 0.599 0.708
O8 0.000 0.692 0.397
O9 0.000 0.808 0.897
O10 0.500 0.901 0.208

No. 6
# CaB6 r2SCAN relaxed
# ΔE_f ... -0.475 eV/atom
# Space group ... Pm-3m, No. 221
data_CaB6
_chemical_formula_sum 'Ca1 B6'
_symmetry_space_group_name_H-M 'P 1'
_symmetry_Int_Tables_number 1
_cell_length_a 4.138
_cell_length_b 4.138
_cell_length_c 4.138
_cell_angle_alpha 90.00
____________
Restate all of the material earlier on unchanged.
No. 1
# CaNi2Ge2 r2SCAN relaxed
# ΔE_f ... -0.558 eV/atom
# Space group ... I4/mmm, No. 139
data_CaNi2Ge2
_chemical_formula_sum 'Ca1 Ni2 Ge2'
_symmetry_space_group_name_H-M 'P 1'
_symmetry_Int_Tables_number 1
_cell_length_a 4.053
_cell_length_b 4.053
_cell_length_c 5.753
_cell_angle_alpha 110.62
_cell_angle_beta 110.62
_cell_angle_gamma 90.00
loop_
_symmetry_equiv_pos_as_xyz
'x,y,z'
loop_
_atom_site_label
_atom_site_fract_x
_atom_site_fract_y
_atom_site_fract_z
Ca1 0.000 0.000 0.000
Ni1 0.250 0.750 0.500
Ni2 0.750 0.250 0.500
Ge1 0.368 0.368 0.736
Ge2 0.632 0.632 0.264

No. 2
# La3Ge4Rh4 r2SCAN relaxed
# ΔE_f ... -1.006 eV/atom
# Space group ... Immm, No. 71
data_La3Ge4Rh4
_chemical_formula_sum 'La3 Ge4 Rh4'
_symmetry_space_group_name_H-M 'P 1'
_symmetry_Int_Tables_number 1
_cell_length_a 4.191
_cell_length_b 4.249
_cell_length_c 13.017
_cell_angle_alpha 99.39
_cell_angle_beta 99.26
_cell_angle_gamma 90.00
loop_
_symmetry_equiv_pos_as_xyz
'x,y,z'
loop_
_atom_site_label
_atom_site_fract_x
_atom_site_fract_y
_atom_site_fract_z
La1 0.856 0.356 0.712
La2 0.144 0.644 0.288
La3 0.000 0.000 0.000
Ge1 0.450 0.450 0.901
Ge2 0.550 0.550 0.099
Ge3 0.301 0.801 0.602
Ge4 0.699 0.199 0.398
Rh1 0.399 0.899 0.798
Rh2 0.250 0.250 0.500
Rh3 0.750 0.750 0.500
Rh4 0.601 0.101 0.202

No. 3
# Mn2Sb3I3O5 r2SCAN relaxed
# ΔE_f ... -1.347 eV/atom
# Space group ... P-1, No. 2
data_Mn2Sb3I3O5
_chemical_formula_sum 'Mn4 Sb6 I6 O10'
_symmetry_space_group_name_H-M 'P 1'
_symmetry_Int_Tables_number 1
_cell_length_a 6.423
_cell_length_b 9.898
_cell_length_c 10.357
_cell_angle_alpha 97.47
_cell_angle_beta 106.39
_cell_angle_gamma 91.96
loop_
_symmetry_equiv_pos_as_xyz
'x,y,z'
loop_
_atom_site_label
_atom_site_fract_x
_atom_site_fract_y
_atom_site_fract_z
Mn1 0.717 0.419 0.996
Mn2 0.257 0.295 0.738
Mn3 0.283 0.581 0.003
Mn4 0.743 0.705 0.262
Sb1 0.218 0.853 0.216
Sb2 0.782 0.147 0.784
Sb3 0.233 0.275 0.082
Sb4 0.767 0.725 0.918
Sb5 0.281 0.568 0.332
Sb6 0.719 0.432 0.668
I1 0.746 0.412 0.296
I2 0.255 0.588 0.704
I3 0.756 0.976 0.174
I4 0.243 0.024 0.826
I5 0.689 0.794 0.534
I6 0.313 0.206 0.466
O1 0.146 0.462 0.143
O2 0.855 0.538 0.857
O3 0.349 0.374 0.959
O4 0.651 0.625 0.041
O5 0.409 0.686 0.220
O6 0.591 0.314 0.781
O7 0.084 0.749 0.029
O8 0.915 0.251 0.971
O9 0.073 0.720 0.302
O10 0.927 0.280 0.698

No. 4
# LaCeHg2 r2SCAN relaxed
# ΔE_f ... -0.525 eV/atom
# Space group ... Fm-3m, No. 225
data_LaCeHg2
_chemical_formula_sum 'La1 Ce1 Hg2'
_symmetry_space_group_name_H-M 'P 1'
_symmetry_Int_Tables_number 1
_cell_length_a 5.469
_cell_length_b 5.469
_cell_length_c 5.469
_cell_angle_alpha 60.00
_cell_angle_beta 60.00
_cell_angle_gamma 60.00
loop_
_symmetry_equiv_pos_as_xyz
'x,y,z'
loop_
_atom_site_label
_atom_site_fract_x
_atom_site_fract_y
_atom_site_fract_z
La1 0.000 0.000 0.000
Ce1 0.500 0.500 0.500
Hg1 0.250 0.250 0.250
Hg2 0.750 0.750 0.750

No. 5
# Ba2Ce2O5 r2SCAN relaxed
# ΔE_f ... -3.222 eV/atom
# Space group ... Pbam, No. 55
data_Ba2Ce2O5
_chemical_formula_sum 'Ba4 Ce4 O10'
_symmetry_space_group_name_H-M 'P 1'
_symmetry_Int_Tables_number 1
_cell_length_a 4.475
_cell_length_b 6.214
_cell_length_c 12.668
_cell_angle_alpha 90.00
_cell_angle_beta 90.00
_cell_angle_gamma 90.00
loop_
_symmetry_equiv_pos_as_xyz
'x,y,z'
loop_
_atom_site_label
_atom_site_fract_x
_atom_site_fract_y
_atom_site_fract_z
Ba1 0.000 0.244 0.393
Ba2 0.000 0.256 0.893
Ba3 0.000 0.744 0.107
Ba4 0.000 0.756 0.607
Ce1 0.500 0.242 0.136
Ce2 0.500 0.258 0.636
Ce3 0.500 0.742 0.364
Ce4 0.500 0.758 0.864
O1 0.500 0.000 0.500
O2 0.500 0.099 0.792
O3 0.000 0.192 0.103
O4 0.000 0.308 0.603
O5 0.500 0.401 0.292
O6 0.500 0.500 0.000
O7 0.500 0.599 0.708
O8 0.000 0.692 0.397
O9 0.000 0.808 0.897
O10 0.500 0.901 0.208

No. 6
# CaB6 r2SCAN relaxed
# ΔE_f ... -0.475 eV/atom
# Space group ... Pm-3m, No. 221
data_CaB6
_chemical_formula_sum 'Ca1 B6'
_symmetry_space_group_name_H-M 'P 1'
_symmetry_Int_Tables_number 1
_cell_length_a 4.138
_cell_length_b 4.138
_cell_length_c 4.138
_cell_angle_alpha 90.00